July 10thRelevant Youth Ministry
by Jean Lehn Epp, Interim Coordinator of Youth Ministry Resources - What does it mean when we make a plea for “relevant” youth ministry? Does claiming something to be relevant make it more valuable than what we have done in the past with youth? When I think about relevance, what comes to mind are concepts like, speaking to the current culture of youth, or being attentive to the pastoral care needs of youth as we encounter them today. To claim everything we do as churches and in our communities with youth as relevant, is a bold move. When we intentionally consider the personal and spiritual needs of youth, and develope and adapt what we do and how we do it to meet those needs, we are well on our way to claiming to be relevant. We can lose our sense of relevancy when we find ourselves at a distance from the struggles, challenges and pain that youth experience. We put up walls when we fail to listen and hear what youth are telling us by their engagement or lack of engagement in our programs and their resistance to our attempts to connect.
When we are being “relevant” we earn a place to be heard and are given permission to speak into youth culture. Being attentive to how critical or judgmental our actions and words can be is paramount. Sometimes this calls for us to adopt an attitude of fearlessness, as if we have nothing to lose. Being open to change, listening to the ideas of youth and trying them on, creates a space where youth feel that they can openly and respectfully contribute to the life of the church. Don’t wait till something breaks to make changes in your youth ministry. Our default is to do the same thing we have always done because it is easier, doesn’t need as many hours to prepare or as many leaders to make it happen. Creating new experiences and trying new things can also move us to new growth, expanding our perspective as we give leadership to where we are inviting youth to go.
- Keep resources as up to date as you can. Balance examples from the past with stories and examples from people in the present.
- Explore current news items. Invite youth to share news items that have caught their attention. Engage in conversation about the impact of these events on the environment, economic implications, or their view of God.
- Include a youth representative on Church Council, Elder/Deacons group or Worship Committee. Invite them to share appropriate items with the rest of the group from the work of the church. Give opportunity for the youth to report back to the leadership on how they are feeling about an issue or event.
- Unpack current movies, books or music to reflect more deeply on the messages they are transmitting. Balance the positive and encouraging messages with what is more challenging or disturbing.
In Faith Forward – Volume 3: Launching a Revolution through Ministry with Children, Youth and Families, Dave Csinos creates another collection of the most current and deeply rooted ideas about how leaders and churches are being relevant. Through this collaborative effort, inspiration is found in the radical action of loving and engaging youth, children and families to unleash the power to heal and move toward action.
_Someone pasted data records at this point_
A geometry-optimized HoTh2Pa structure, computed with GGA-PBE.

Results
The density of states at the Fermi level is 6.960 states/eV per cell. The value obtained for the formation energy is 0.1034 eV per atom. For the energy above the lowest structure with this stoichiometry, the calculation gives 0.093 eV/f.u. The total moment comes out at 0.0 μB/f.u.

a = 3.465 Å, b = 3.465 Å, c = 11.705 Å
α = 81.49°, β = 81.49°, γ = 60.00°
Positions (direct):
1 Ho 0.668 0.668 0.997
2 Th 0.085 0.085 0.744
3 Th 0.248 0.248 0.257
4 Pa 0.499 0.499 0.502

A geometry-optimized RbInBrCl structure, computed with GGA-PBE.

Results
The density of states at the Fermi level is 0.000 states/eV per cell. For the energy above the lowest structure with this stoichiometry, the calculation gives 0.202 eV/f.u. The total moment comes out at 0.0 μB/f.u.

a = 5.685 Å, b = 5.685 Å, c = 5.685 Å
α = 60.00°, β = 60.00°, γ = 60.00°
Positions (direct):
1 Cl 0.500 0.500 0.500
2 Br 0.000 0.000 0.000
3 Rb 0.750 0.750 0.750
4 In 0.250 0.250 0.250

A geometry-optimized Ga2AgOsO8 structure, computed with GGA-PBE.

Results
The value obtained for the final energy is -5.97 eV/atom. The density of states at the Fermi level is 5.160 states/eV per cell. The total moment comes out at 0.0 μB/f.u.

a = 4.630 Å, b = 4.627 Å, c = 6.367 Å
α = 88.95°, β = 91.06°, γ = 91.92°
Positions (direct):
1 Ga 0.490 0.510 0.743
2 Ga 0.510 0.490 0.257
3 Ag 0.000 0.000 0.500
4 Os 0.000 0.000 0.000
5 O 0.208 0.791 0.196
6 O 0.701 0.702 0.000
7 O 0.812 0.188 0.223
8 O 0.792 0.209 0.804
9 O 0.299 0.298 0.000
10 O 0.188 0.812 0.777
11 O 0.684 0.685 0.500
12 O 0.316 0.315 0.500

What did the first record say?
A geometry-optimized HoTh2Pa structure, computed with GGA-PBE.

Results
The density of states at the Fermi level is 6.960 states/eV per cell. The value obtained for the formation energy is 0.1034 eV per atom. For the energy above the lowest structure with this stoichiometry, the calculation gives 0.093 eV/f.u. The total moment comes out at 0.0 μB/f.u.

a = 3.465 Å, b = 3.465 Å, c = 11.705 Å
α = 81.49°, β = 81.49°, γ = 60.00°
Positions (direct):
1 Ho 0.668 0.668 0.997
2 Th 0.085 0.085 0.744
3 Th 0.248 0.248 0.257
4 Pa 0.499 0.499 0.502

----------

Density functional theory data (PBE) for a relaxed structure of Fe2Pd7Pt2.

The structure in POSCAR format:
```
Fe2Pd7Pt2
1.0
2.786 0.000 0.000
1.393 8.067 -0.687
1.393 3.220 7.428
Pd Pt Fe
7 2 2
Cartesian
2.786 4.578 1.456 Pd
4.180 6.515 5.331 Pd
2.786 8.638 6.613 Pd
1.393 3.505 3.533 Pd
2.786 7.833 -0.295 Pd
2.786 1.370 2.272 Pd
2.786 7.835 3.401 Pd
4.180 9.928 4.604 Pt
1.393 2.527 0.184 Pt
2.786 4.358 5.523 Fe
1.393 6.710 1.585 Fe
```

Output
* relative energy among the computed polymorphs: 0.143 eV/atom
* space group: Imm2, No. 44
* Fermi-level density of states: 10.561 states/eV/cell
* calculated formation energy: 0.034 eV/atom
* total DFT energy (no corrections): -0.434 Ry/atom

Density functional theory data (PBE) for a relaxed structure of Ac3La2Pr5.
Kara Powell shares her thoughts on connecting with youth in such a way that respect is encouraged so that listening can happen. In her blog, Why Our Kids Won’t Understand Us Until We Understand Them, she challenges our willingness to enter into the world of youth to better engage in difficult conversations.